Two items come to me today from my progressive Catholic friends at Open Tabernacle. The first is Terence Weldon’s post about the progress toward marriage equality in Europe and South America. His post offers some great color-coded maps that show various shades of equality from “full marriage” to “prohibited”.
[A]cross what used to be known as “Western” Europe, only Italy and Greece still have no provision. Even in the former Soviet bloc, there have been advances. The Czech Republic, Hungary and Slovenia all recognize Civil Unions, Croatia recognizes unregistered “cohabitation”, and Estonia, the matter is receiving political “consideration”. Meanwhile, although the map does not yet show it, Cyprus too may soon introduce full same sex marriage.
The second is the news that Father John J McNeill has become a blogger who will cross post on the Open Tabernacle. Father McNeill is a legendary pioneer in promoting a progressive religious and biblical understanding of LGBT issues. His classic book, The Church and the Homosexual, first published in 1976, has been reprinted numerous times and remains the standard work of scholarship in the field. I purchased a copy of the fourth edition over fifteen years ago, and it helped inform my own understanding. From a reviewer’s comment printed on the back cover:
A vintage work in the evolving history of the relationship between gay people and institutional Christianity. McNeill’s book remains central to the story.
Now eighty-four years of age, Father McNeill continues to be a prophetic voice for our age, speaking for progressive Catholics and all Christians. His blog, Spiritual Transformation, is brand new, and his first couple of posts are calls for justice for women in the church. Here is a sampling:
Over the past fifty years of ministry in both my study and experience I have become more and more convinced that the deepest root of homophobia both in our culture and in our church is feminapbobia, the fear and suppression of the feminine. Consequently, the most important contribution that can be made to gay liberation is for the gay community to commit itself to women’s liberation.
And another:
If it true that the future of the human race depends on the integration of the feminine on an equal basis with the masculine, it is equally true that the future of the Catholic Church will depend on its willingness to integrate women into its power structure. Tragically, however, the present leadership is fighting tooth and nail to prevent that integration.
I urge my readers to check out his blog and become a follower or RSS subscriber or whatever means you use to follow blogs. You will be rewarded with the rich fruits of a ripened mind.
Personally I think it’s more likely that the Roman Catholic Church will allow priests to marry before they’ll ever allow women to be priests. Although allowing priests to marry would be a huge change itself.
I agree, but I think they are still a long way from even allowing maried priests. The Roman Catholic Church in South America, Africa and Asia, where the church is growing, remains strong in their resistance to the change.
One priest I know think the change in allowing priests to marry will come from Africa. How he arrived at this conclusion I don’t really know. He also thinks the next pope will likely come from Africa. I think the next pope is more likely to come from South America, since the church has a larger history there.
**Materials data that have nothing to do with the article**
=====
DFT (r²SCAN) results for a relaxed Mn3B2O6 crystal.

Lattice parameters (Å, degrees): 4.6439 5.6692 8.7030 90.00 90.00 90.00
Fractional coordinates of all 22 atoms:
1 Mn 0.0000 0.0000 0.0610
2 Mn 0.0000 0.0000 0.4389
3 Mn 0.0000 0.5000 0.2490
4 Mn 0.5000 0.0000 0.7510
5 Mn 0.5000 0.5000 0.5611
6 Mn 0.5000 0.5000 0.9390
7 B 0.0387 0.7421 0.7499
8 B 0.4613 0.2421 0.2501
9 B 0.5387 0.7579 0.2501
10 B 0.9613 0.2579 0.7499
11 O 0.1893 0.7869 0.8853
12 O 0.1896 0.7873 0.6148
13 O 0.2480 0.3187 0.7500
14 O 0.2520 0.8187 0.2500
15 O 0.3104 0.2873 0.3852
16 O 0.3107 0.2869 0.1147
17 O 0.6893 0.7131 0.1147
18 O 0.6896 0.7127 0.3852
19 O 0.7480 0.1813 0.2500
20 O 0.7520 0.6813 0.7500
21 O 0.8104 0.2127 0.6148
22 O 0.8107 0.2131 0.8853

M_tot = 1.364 μB per atom
Uncorrected energy = -239.70 eV for the cell shown
Crystal system = orthorhombic
ΔH_f (0 K) = -25.27 eV/f.u.

***

DFT (r²SCAN) results for a relaxed Zr3O crystal.

Lattice parameters (Å, degrees): 6.1349 6.1349 6.1349 54.88 54.88 54.88
Fractional coordinates of all 8 atoms:
1 Zr 0.0915 0.7500 0.4085
2 Zr 0.2500 0.5915 0.9085
3 Zr 0.4085 0.0915 0.7500
4 Zr 0.5915 0.9085 0.2500
5 Zr 0.7500 0.4085 0.0915
6 Zr 0.9085 0.2500 0.5915
7 O 0.0000 0.0000 0.0000
8 O 0.5000 0.5000 0.5000

M_tot = 0.000 μB per atom
Uncorrected energy = -160.78 eV for the cell shown
Crystal system = trigonal
ΔH_f (0 K) = -6.17 eV/f.u.

***

DFT (r²SCAN) results for a relaxed PtRh3 crystal.

Lattice parameters (Å, degrees): 3.8405 3.8405 3.8405 90.00 90.00 90.00
Fractional coordinates of all 4 atoms:
1 Pt 0.0000 0.0000 0.0000
2 Rh 0.0000 0.5000 0.5000
3 Rh 0.5000 0.0000 0.5000
4 Rh 0.5000 0.5000 0.0000

M_tot = 0.000 μB per atom
Uncorrected energy = -123.99 eV for the cell shown
Crystal system = cubic
ΔH_f (0 K) = -0.09 eV/f.u.

***

DFT (r²SCAN) results for a relaxed Ca4GaSn3 crystal.

Lattice parameters (Å, degrees): 4.3786 4.7326 11.3764 90.00 90.00 90.00
Fractional coordinates of all 8 atoms:
1 Ca 0.0000 0.0000 0.0000
2 Ca 0.0000 0.5000 0.4868
3 Ca 0.5000 0.0000 0.2618
4 Ca 0.5000 0.5000 0.7682
5 Ga 0.0000 0.5000 0.2094
6 Sn 0.0000 0.0000 0.7126
7 Sn 0.5000 0.0000 0.5467
8 Sn 0.5000 0.5000 0.0559

M_tot = 0.000 μB per atom
Uncorrected energy = -119.53 eV for the cell shown
Crystal system = orthorhombic
ΔH_f (0 K) = -5.69 eV/f.u.

***

Number 3 is which compound? PtRh3


[1]
# Ag14H8I4O5F10

A relaxed structure of Ag14H8I4O5F10 (PBE-GGA, the Materials Project database).

Properties
As for the energy with MP2020 corrections: -3.85 eV/atom. Its size of the total moment is 3.999 μB per cell.

Lattice parameters (Å, degrees): 7.453 9.391 18.544 90.00 90.00 91.10
Atoms (fractional coordinates):
H (0.499, 0.649, 0.504)
H (0.280, 0.232, 0.044)
H (0.624, 0.463, 0.446)
H (0.636, 0.595, 0.946)
H (0.118, 0.957, 0.054)
H (0.144, 0.102, 0.553)
H (0.356, 0.398, 0.053)
H (0.516, 0.355, 0.497)
H (0.876, 0.037, 0.946)
H (0.864, 0.905, 0.446)
H (0.001, 0.851, 0.004)
H (0.220, 0.268, 0.544)
H (0.798, 0.738, 0.460)
H (0.702, 0.762, 0.960)
=====
I do think it is very significant that marriage equality is happening in South America. The Vatican won’t be able to claim that it’s just non-Catholic countries like Norway and Denmark who believe that gays should be able to marry. Ten years from now there will be an even larger gap between Catholic laity and the Vatican than currently exists, and it won’t just be in Europe and North America.